5 Reasons Women Like to Play Dirty

When Spartan first brought obstacle course racing to the masses, it was mostly men who signed up to be challenged. Sure, there were a few women risking the mud (here’s looking at you, Margaret Schlachter), but the military style of many of the obstacles seemed geared toward a more male-centered audience.
Yet, over the years, the masculine stereotype of the OCR competitor has given way to a more balanced representation of gender. Spartan’s own world championship has supported the rise of many fierce female racers. Household names such as Lindsay Webster, Zuzana Kocumova, and Amelia Boone have shown the world that women like to play dirty too, and in doing so, they’ve blazed a trail for other female athletes to follow.
For many, it’s not just the incentive to shift some weight or get in shape that is motivating them to put their money where the mud is, either. According to those who regularly line up at the start of a Spartan race, strength, support, and a whole lot of self-worth are some of the other benefits that keep them coming back for more.
So if you’re a woman on the verge of OCR, here’s some inside intel on what you might find in a race from the ladies who’ve already been there, done that, and scaled the 10-foot wall.

1. You’ll Find Strength
According to Jennifer Atherton, online personal trainer and founder of OCR Women’s Academy, what happens on a Spartan course doesn’t stay on a Spartan course. “I love the physical feeling of overcoming obstacles in the physical realm, which then relates to overcoming obstacles in all aspects of my life,” she says. Atherton, who is currently training her Sacramento-based women’s group for a variety of OCR events, including a local Spartan race next autumn, says that even through the training, she sees how developing physical strength has helped her women to develop incredible mental strength too.
2. You’ll Find Confidence
Elite Spartan racer Jackie Parchman believes that’s true and adds that participating in a race means pushing yourself, “to limits you never knew were possible.” The North Carolina resident decided to tackle her first Spartan event to test her own break points and because, as an African-American woman, she didn’t see many women like her in the racing ranks. “I stepped up to my first line in September 2015, first Trifecta in 2016, and elite in 2017,” she reveals. “Was I the best? No. Did I think three years ago that I would be racing in mud for fun?! No! But racing now has become an addiction to greatness!”

3. You’ll Find Fitness
UK-based Angie Brown started running obstacle course races as a way to shake off the severe migraines she frequently suffered. Three years in, Brown says she’s firmly in control of her headaches and health. More than that, she’s become fitter than she ever was before. “Before OCR, I smoked and led a pretty lazy life,” she claims. “Now I don’t smoke, I manage my migraines with a good diet and keeping healthy, and I train to race regularly.”
Currently, Brown is training for a 69-mile ultra along Hadrian’s Wall, and the 30-mile Spartan Ultra. For female competitors, she claims, “Spartan racing is particularly empowering because it encourages women to be both physically and mentally strong; you become the best version of yourself.”
4. You’ll Find Yourself
“My favorite part about competing in OCR is being able to completely lose myself in the race,” says Kelsey Childs, a Spartan ambassador living in Towson, Maryland. “All my thoughts and negative emotions are dropped somewhere on the course because they no longer matter in that moment.” For women and men alike, crushing setbacks on the circuit can force them to see just what they’re capable of no matter what they may be struggling with in their daily life.
<<<
Er2CuPt (PBE, optimized geometry); ΔH_f (0 K) = -0.836 eV per atom
1.0
4.4284 0.0000 0.0000
0.0000 5.4403 0.0000
0.0000 0.0000 7.0288
Pt Er Cu
2 4 2
Direct
0.5000 0.6138 0.0367 Pt
0.5000 0.3862 0.5367 Pt
0.5000 0.8825 0.6827 Er
0.0000 0.3912 0.8176 Er
0.5000 0.1175 0.1827 Er
0.0000 0.6088 0.3176 Er
0.0000 0.1097 0.4629 Cu
0.0000 0.8903 0.9629 Cu

***

Ta2Zn2Ge (PBE, optimized geometry); final energy = -5.6006 eV per atom
1.0
-1.8903 1.8903 6.6409
1.8903 -1.8903 6.6409
1.8903 1.8903 -6.6409
Ta Zn Ge
2 2 1
Direct
0.7500 0.2500 0.5000 Ta
0.2500 0.7500 0.5000 Ta
0.0923 0.0923 0.0000 Zn
0.9077 0.9077 0.0000 Zn
0.5000 0.5000 0.0000 Ge

***

Tb2HoGa3CuNi2 (PBE, optimized geometry); final energy = -4.7862 eV per atom
1.0
-2.3876 0.9302 2.6945
-1.1397 -6.9089 1.3751
5.2036 3.5035 3.4015
Ga Ho Ni Cu Tb
3 1 2 1 2
Direct
0.5000 0.7439 0.9989 Ga
0.5000 0.9989 0.7439 Ga
0.5000 0.2569 0.2569 Ga
0.0000 0.5881 0.5881 Ho
0.5000 0.6661 0.3342 Ni
0.5000 0.3342 0.6661 Ni
0.0000 0.9992 0.9992 Cu
0.0000 0.4124 0.0001 Tb
0.0000 0.0001 0.4124 Tb

***

GdCuTe2PbS (PBE, optimized geometry); final energy = -4.5860 eV per atom
1.0
2.1030 -7.2354 0.0000
2.1030 7.2354 0.0000
0.0000 0.0000 10.4624
Pb Te Gd Cu S
2 4 2 2 2
Direct
0.2713 0.7287 0.2500 Pb
0.7287 0.2713 0.7500 Pb
0.3513 0.6487 0.5655 Te
0.3513 0.6487 0.9345 Te
0.6487 0.3513 0.4345 Te
0.6487 0.3513 0.0655 Te
0.0000 0.0000 0.0000 Gd
0.0000 0.0000 0.5000 Gd
0.5205 0.4795 0.2500 Cu
0.4795 0.5205 0.7500 Cu
0.0637 0.9363 0.7500 S
0.9363 0.0637 0.2500 S

***

Re12CS17Br6 (PBE, optimized geometry); final energy = -7.0056 eV per atom
1.0
11.9620 0.0000 0.0000
-5.9810 10.3594 0.0000
0.0000 0.0000 16.6791
S Re Br C
17 12 6 1
Direct
0.0000 0.7675 0.4050 S
0.0000 0.2329 0.7128 S
0.0000 0.7675 0.5950 S
0.2329 0.0000 0.2872 S
0.0000 0.2841 0.5000 S
0.2841 0.0000 0.5000 S
0.0000 0.2329 0.2872 S
0.2325 0.2325 0.5950 S
0.0000 0.0000 0.8323 S
0.7675 0.0000 0.5950 S
0.2329 0.0000 0.7128 S
0.7159 0.7159 0.5000 S
0.7671 0.7671 0.2872 S
0.7671 0.7671 0.7128 S
0.2325 0.2325 0.4050 S
0.0000 0.0000 0.1677 S
0.7675 0.0000 0.4050 S
0.0000 0.1321 0.4130 Re
0.0000 0.1321 0.5870 Re
0.1252 0.1252 0.2809 Re
0.1321 0.0000 0.4130 Re
0.8748 0.0000 0.7191 Re
0.8679 0.8679 0.5870 Re
0.1321 0.0000 0.5870 Re
0.1252 0.1252 0.7191 Re
0.0000 0.8748 0.7191 Re
0.8679 0.8679 0.4130 Re
0.8748 0.0000 0.2809 Re
0.0000 0.8748 0.2809 Re
0.2961 0.2961 0.1950 Br
0.7039 0.0000 0.8050 Br
0.2961 0.2961 0.8050 Br
0.7039 0.0000 0.1950 Br
0.0000 0.7039 0.8050 Br
0.0000 0.7039 0.1950 Br
0.0000 0.0000 0.5000 C

***

TmSnBi (PBE, optimized geometry); distance to the lowest polymorph of the same formula = 0 meV per atom
1.0
0.0000 3.6668 3.6668
3.6668 0.0000 3.6668
3.6668 3.6668 0.0000
Sn Tm Bi
1 1 1
Direct
0.7500 0.7500 0.7500 Sn
0.0000 0.0000 0.0000 Tm
0.2500 0.2500 0.2500 Bi

***

KAcTh (PBE, optimized geometry); distance to the lowest polymorph of the same formula = 0 meV per atom
1.0
0.0000 4.2425 4.2425
4.2425 0.0000 4.2425
4.2425 4.2425 0.0000
K Ac Th
1 1 1
Direct
>>>
## The calculated crystals stop here
Childs says, “Racing has increased my confidence and resilience and has taught me how to push through the hard stuff in life. I found my purpose, I found my community, and I found a home on the course.”
5. You’ll Find Family
And a common reason for all of these women to come back to the mud for more? The friendships they’ve made and the sense of family they’ve found. “Spartan Race has given me a family,” says Childs. “I’ve never met a nicer, more understanding group of people. And I don’t feel out of place as a woman on the race course. Everyone is viewed as equal. No one gets treated differently because of their gender, age, or physical disability.” Parchman agrees, claiming the friendships she’s made with other Spartan women are “unbreakable.” And she challenges more women to take a chance and try a race. “But when you do, and you see someone out there for the first time,” she says, “tell her, ‘You got this!’ Let her know she’s surrounded by women who’ve broken through their own minds to find their muddy happy place, and that they’ve all got her back!”
Commit in 2018. Download The Spartan 2018 Race Schedule. #noexcuses